It's been three weeks since I told Camilla that we were going back to her former community, for those three weeks I've been trying to train her lazy self on self-defense but she wasn't having any of it. I watch as she runs around the cabin, packing clothes upon clothes into a bag, between the chaos she's creating she pauses to look at me.
" Why are you geared up like this? " She asks.
" it's how I am " I mumble. Well, I am geared up the way I used to in the army, without the guns though. I chose to wear a long-sleeved t-shirt with an army trouser, a collection of knives hooked up to my belt and one tucked deep into my army boots, you never know what will happen and my ax hooked to my waist.
I get up from where I was sitting and walk into the kitchen, Chavos left last week, he hates to tag along. I stop to look at my reflection in a mirror and a face with dark skin, pure white hair, silver eyes and slightly protruding canines which revealed when revealed themselves when I opened my mouth, stare back at me. I hear Camilla try to sneak up on me but it's no use, I can hear her nonexistent footsteps like a speaker, plus the rainy scent that followed her.
" You know it's no use trying to sneak up on me," I say turning to face her " I can hear your every movement "
She huffs at being caught " Are you going to ogle yourself or are we going to get moving? "
" It's not my fault my I am too good looking " I reply with a smirk, walking over to the bag I packed and hoisting it over my shoulders.
She gives me a look and walks out of the cabin.
" What's wrong? " I ask her, following her out.
" Nothing " She snaps at me " Common courtesy to help a girl with her luggage "
So that's what's bugging her.
" You are capable of handling your luggage, " I tell her " Help yourself "
" Ignorant bastard! " She mutters If anyone else said that to me they'd be dead but I'll leave it as it is. I watch as she trudges Into the forest.
" Do you know where you're going? " I ask her, following into the woods.
" No, I'm counting on you," She says " How will we get there, we have no map "
I pause to think it through, it's quite simple.
" You mentioned it was somewhere west of here, right? "
" Yes "
" Then we'll go in that direction " I point to where the sun was angling towards.
" Where the sun sets, that's nice. "
" If I'm correct we'll run into a highway, from there we'll figure things out. "
" How sure are you? " She asks, skepticism laced in her words.
" Oh, I'm quite sure, it'll take us the entire night to reach the highway. "
" What! " She shouts and I wince " What about my sleep and how sure are you about this? "
" Jeez, woman are you try to make me deaf, besides a zombie never gets lost "
With that, I walk deeper into the forest with Camilla hot on my heels after mumbling a 'sorry'
We've been walking through the forest a little while now, an occasional zombie stumbling through, the sun had already set and the darkness consuming the environment. I can see everywhere clearly, it's just like night vision but with a tinge of silver.
" Can we stop walking? " Camille asks for the one-hundredth time.
I groan out in frustration " We're almost there besides your not going to get tired, so stop whining. "
" I'm not whining," She says stumbling over a tree root. " I'm stating a fact, I need to eat. "
Of all the times to be hungry it's now. I sigh in frustration. I didn't plan to pack food since we rarely get hungry but she is an exception, what kind of stomach does she have.
" We're getting close, just bear with me a little."
They were nearing the highway, a quarter-mile and they'll be there. Xavier trudged through the woods as silent as ever while Camilla followed. She noticed the slightest bit of change to their environment and it bothered her, she could see clearly like during the daytime but with a tinge of red added to her vision. Walking behind Xavier, she wondered how he became a zombie and why he didn't want to tell her about it. She understood that they were strangers but she opened up to him, why couldn't he?
" Just keep up and we'll be there in thirty minutes max," he said.
" How do you know how far the distance is?. " Camille asked.
" I can smell the rusting metal of the cars." He replied, pausing to sniff the air, something wasn't right.
" What's it? " She asked also pausing to sniff the air but she got nothing, the entire place was clear, what had him on edge.
" Run! " He told her. " Run! "
She didn't know why he told her to run but she ran in their initial direction. He could hear the roar of their engines, he knew who they were, from the distance could smell the virus in their blood and they were chasing him but how did they find him?.
They could see the highway from where they were, the cars parked randomly on the paved road. They were running at inhuman speeds, a red and silver blur darting through the trees, heading in one direction. Camilla was finding it hard to keep up with him, she had never run this fast in her life, her lungs begging her to stop and breathe in but she had to keep going, she had never seen him this tense.
The sound of the engines got louder the closer they came to the highway, as soon as their feet hit the paved road, heavy lights bore down on them, Camilla couldn't handle the intense brightness and let out a snarl in that direction, before she could take another step she felt something push her, losing her balance she fell hitting her head on the ground hard. The sound of bones breaking filled the air, she tried to get up but she couldn't see, the bright light temporarily blinded her and her head felt heavy from the fall.
Three heavy-duty trucks stopped a few feet away from Xaviers mangled form. The first truck had run him over, the second and third followed suit. The men inside started to fill out, armed to the teeth with weapons and one of them moved towards Xavier's body.
" Well, well, well, " The man said " If it isn't protocol x. "
He bore claw slashes on his face, running from his forehead to the bottom of his jaw. Looking at him gave anyone the creeps. He was tall and very built. He squats down next to Xavier's body and he had to admit, it was a mess, bones sticking out of every part of his body.
" Do you remember me?. " He asked Xavier " I must say you are a mess. "
I remembered him, he is one of the assholes that tortured me for years. I can feel my bones trying to rearrange themselves, just a few minutes more.
" Baxton " I spat out " How could I ever forget you. "
Blood seeped out of my mouth with every word I spoke, it was painful like needles being stuck into me.
Baxton got up and walked towards his buddies, I am watching his every moves, if only the healing process could speed up a little more.
" Load him up, boys. " I heard him say " We got what we came for and hurry before he starts healing. "
" Boss, there's another with him, " One of the other guys says " And it's a female. "
" Take her too, " He says walking towards one of the trucks " We'll have some fun with that one. "
Three guys came over to lift me and carried me towards the trucks. I saw an unconscious Camilla being carried to another truck.
Snap. The healing process has started.
" Wah was that, " The guy to my right asked.
" Probably nothin', " The one to my left said.
" You know, you guys have made a mistake, " I tell them.
" Oh yeah, what is it "
" You forgot my weapons. "
My left arm snaps back into place and I immediately grab a knife from my waist and stab the guy beside me, the knife sinking into his chest like melting butter. The other guy dropped my arm and tried to aim at me. Key word tried. I immediately use my healed arm to slam his head to the ground then I fall with him, looks like my legs haven't healed. The guy I stabbed gurgled blood with every breath he took, he will be dead soon while his companion is dazed on the ground. You see the thing about hunters is that they're genetically modified with a temporary virus in them, their bodies can't heal all injuries.
Crack. Snap. Crack.
The sound of my bones moving back into their rightful place, it's painful but I've had worse. I stand up from the ground, wincing a little at the pain. I crouched down to the unconscious guy and pull another knife off my belt.
" It's a pity you're not awake to feel this," I whisper out, stabbing the knife into his head, the blood squirting out in all directions. Now it's time for your buddies.
They were unaware of their two missing friends and the fact that more were going missing. They didn't notice the glowing solve eyes stalking through the abandoned cars until it was too late. Xavier watched the trucks and the men around them, his eyes were glowing to their fullest, he had given in to his instincts and he was after one prize Baxtons head. Moving through the cars silently, picking the men off silently, bodies left in his trail no one noticed.
" Shit " He heard one of the men yell " I found a body!."
" What do you mean you've found a body? " Baxton asked, jumping down from the truck.
" Bodies, sir." He replied, " A whole lot of 'I'm and protocol x is missing."
" Shit," Baxton said. He knew what would happen if protocol x got him, he'd be dead.
" Move out," he yelled, they had to leave at least they had the girl.
Xavier knew his prey was leaving, the heavy headlights of their trucks coming to life as the roaring of the engines filled the environment, almost on cue zombies started to fill out from all directions maneuvering through the cars and trees, a horde. He lunged forward towards one of the trucks with a snarl, opening the drivers' door and flinging him into the horde his screams joining the moans of the zombies, the others in the truck were in shock, they knew what he was, they didn't know he would be that strong. By the time he was done with them the inside of the truck resembled a butchers shop, body parts in different places, his instincts were still running high, telling him to go after the other trucks but the human part of him wanted to stay and help her, she was weak, people like hef never made it far in this new world.
-- Here the page breaks off for data records --
+++
[1]
Formula: C63H133N7O7
Source: the Open Molecules 2025 dataset
Level of theory: ωB97M-V/def2-TZVPD

For the orbital gap, the calculation gives 8.1 eV.

Structure (XYZ):
```
210
Properties=species:S:1:pos:R:3:forces:R:3
C -15.53864 3.19514 8.47809 -0.7248 -0.5417 0.8687
C -15.75142 2.24817 9.76152 0.9849 0.7029 1.3401
C -14.43460 2.35174 10.65801 0.1202 0.2694 -2.3061
C -14.29303 3.64074 11.38826 0.6488 -1.0339 0.3274
C -15.52389 3.76318 12.22832 0.6277 1.4786 0.5108
C -16.90784 3.76191 11.54654 2.5179 0.9704 -1.2339
N -16.92669 2.64236 10.58193 -0.4712 -1.6594 0.5594
O -18.17103 2.50909 9.82430 1.4030 0.3502 1.0816
C -17.89090 3.65886 12.68114 -1.9531 -2.0321 -0.2458
C -17.03387 5.06435 10.76388 -1.3758 1.2434 0.3359
C -15.86986 0.78550 9.40684 -0.7278 -0.1670 -1.1451
H -15.00345 2.76330 7.63241 0.7374 -0.1911 0.5574
H -15.12529 4.12969 8.85738 0.3186 -0.1114 -0.4362
H -16.44831 3.47015 7.94426 -0.5766 0.0356 0.4103
H -14.23449 1.49565 11.30234 -0.5517 -0.0960 -0.0660
H -13.65747 2.38921 9.89463 0.3112 -0.6890 -0.1148
H -13.90850 4.42364 10.73458 -0.9768 0.5061 -0.0851
H -13.46146 3.54690 12.08667 0.1736 -0.1194 0.1604
H -15.31529 4.70119 12.74283 -1.0545 0.3955 0.3696
H -15.44374 3.02358 13.02498 -0.2752 -0.3645 -0.2106
H -17.66011 2.83198 13.35277 0.7576 0.1374 0.1999
H -18.19151 4.50393 13.30049 0.5214 0.3480 -0.5192
H -18.79083 3.20508 12.26606 -0.5718 0.5666 -0.2313
H -16.24681 5.47187 10.12939 0.6021 -0.6310 0.4001
H -17.88880 5.03721 10.08827 -0.2984 -0.1882 0.1044
H -17.27897 5.83241 11.49744 0.0591 0.3632 -0.1000
H -15.86036 0.02998 10.19247 0.0189 0.6060 0.5161
H -15.06201 0.51296 8.72773 -0.1023 0.0171 -0.2493
H -16.84103 0.70381 8.91874 0.1136 -0.5020 -0.3683
H -17.95934 2.96146 9.00445 -0.2572 0.3255 -0.4231
C -12.83690 -7.88123 7.91110 -0.4615 0.3275 -1.1160
C -14.39135 -7.83943 7.85040 0.9161 -0.4253 -0.3650
C -14.79667 -9.33165 8.16156 -1.8870 0.9513 0.6853
C -16.32097 -9.37125 8.56555 0.5882 0.7496 -0.6308
C -16.50097 -8.52658 9.82406 0.9730 -0.3165 -0.7859
C -16.08640 -7.04669 9.54038 -0.8587 0.1187 2.0574
N -14.75026 -6.90020 8.89816 -1.5288 -1.5511 1.8672
O -14.44565 -5.56524 8.54832 -0.3624 -0.3039 -0.1592
C -17.28271 -6.37145 8.87563 0.3156 0.6967 -1.6752
C -15.99396 -6.50295 11.01081 1.2906 0.6520 -0.9470
C -14.96862 -7.38041 6.48485 1.0235 -1.3750 -1.2634
H -12.43291 -6.86979 7.95451 0.1200 -0.0543 0.0936
H -12.45206 -8.30952 6.98559 0.1468 -0.2071 -0.0096
H -12.50484 -8.48200 8.75780 -0.0211 0.2137 -0.0222
H -14.53126 -9.97857 7.32541 -0.2699 0.3001 -0.3106
H -14.23421 -9.75714 8.99264 0.1276 0.3675 0.2693
H -16.73802 -10.37831 8.56545 0.0673 0.0221 0.3405
H -16.90603 -8.76970 7.86989 0.0427 -0.5178 -0.8014
H -15.91003 -8.96473 10.62837 0.0614 0.1965 0.2274
H -17.53737 -8.43470 10.14891 0.0250 -0.3782 -0.0047
H -17.44081 -6.69800 7.84778 -0.1831 -0.6872 0.0178
H -18.23142 -6.48719 9.39970 0.2567 0.0197 0.2479
H -17.10350 -5.32175 8.64299 0.1152 0.3091 0.7344
H -15.81278 -5.42819 10.99805 -0.0926 0.1516 0.0118
+++
Picking her bridal style and exiting the truck, the zombies that surrounded it due to the commotion rushed in stumbling over each other to taste the goodies inside, their groans and moans filling the night. One of them thought he was human and stumbled over to him, gnashing his teeth together in anticipation of a good meal. Xavier stilled and watched as the zombies fought to enter the truck bumping into him in the process, he paid no heed to the one that stopped in front of him, it snarled at him and tried to take a swipe at him. On a normal day a knife would be in its skull but he had to settle for less, he snarled at the zombie his eyes glowing brighter and it stumbled towards its friends to battle for some meat. Xavier looked in the distance, he could still see the tail lights of the two other trucks, he would get his prey later. With that, he walks down the highway mingling with the other zombies, an unconscious Camilla in his arms.
" You said he would be easy to get." He yelled at the woman in his front " Now half of my squad is dead. "
She looked at him, it was a pity, she wanted the protocol, with that she had power but he always got away no matter who they sent, hunters, zombies, they always failed.
" We will get him Baxton. " She told him. "because if we don't, he will come to kill us. It's all in due time. "